-- Activity --
Work out how many lines further below have the word "atom" in them; a number is enough.
-- Contents --
<<<
Record 1
First-principles (PBE-GGA) data for crystalline K4Ge9O20 at its relaxed geometry, as listed in the Materials Project.

Calculated values
calculated density: 3.8 g cm⁻³
spin magnetization: 0.00 μB/f.u.
volume: 975.6 Å³ per cell
raw total energy: -6.160 eV per atom
energy of formation: -2.182 eV per atom
SG: I4_1/a (88)

Geometry as CIF:
```
data_K4Ge9O20
_chemical_formula_sum 'K8 Ge18 O40'
_symmetry_space_group_name_H-M 'P 1'
_symmetry_Int_Tables_number 1
_cell_length_a 11.929
_cell_length_b 11.929
_cell_length_c 11.929
_cell_angle_alpha 95.89
_cell_angle_beta 95.89
_cell_angle_gamma 142.65
loop_
_symmetry_equiv_pos_as_xyz
'x,y,z'
loop_
_atom_site_label
_atom_site_type_symbol
_atom_site_fract_x
_atom_site_fract_y
_atom_site_fract_z
Ge1 Ge 0.583 0.249 0.948
Ge2 Ge 0.885 0.333 0.834
Ge3 Ge 0.390 0.459 0.116
Ge4 Ge 0.301 0.635 0.052
Ge5 Ge 0.667 0.501 0.552
Ge6 Ge 0.725 0.610 0.068
Ge7 Ge 0.541 0.657 0.932
Ge8 Ge 0.860 0.291 0.384
Ge9 Ge 0.907 0.475 0.616
Ge10 Ge 0.709 0.093 0.568
Ge11 Ge 0.000 0.000 0.000
Ge12 Ge 0.343 0.275 0.884
Ge13 Ge 0.499 0.051 0.166
Ge14 Ge 0.365 0.417 0.666
Ge15 Ge 0.250 0.750 0.500
Ge16 Ge 0.751 0.699 0.334
Ge17 Ge 0.525 0.140 0.432
Ge18 Ge 0.949 0.115 0.448
O1 O 0.204 0.326 0.530
O2 O 0.327 0.796 0.123
O3 O 0.501 0.525 0.279
O4 O 0.796 0.673 0.470
O5 O 0.832 0.676 0.231
O6 O 0.152 0.212 0.118
O7 O 0.155 0.716 0.618
O8 O 0.454 0.077 0.030
O9 O 0.652 0.210 0.600
O10 O 0.462 0.845 0.561
O11 O 0.472 0.251 0.476
O12 O 0.640 0.698 0.100
O13 O 0.790 0.390 0.442
O14 O 0.749 0.225 0.221
O15 O 0.674 0.204 0.877
O16 O 0.098 0.538 0.382
O17 O 0.923 0.954 0.377
O18 O 0.966 0.848 0.061
O19 O 0.460 0.360 0.058
O20 O 0.324 0.555 0.156
O21 O 0.095 0.034 0.882
O22 O 0.418 0.074 0.269
O23 O 0.284 0.902 0.439
O24 O 0.475 0.754 0.976
O25 O 0.246 0.222 0.721
O26 O 0.046 0.424 0.970
O27 O 0.948 0.348 0.558
O28 O 0.778 0.499 0.024
O29 O 0.805 0.150 0.731
O30 O 0.788 0.905 0.939
O31 O 0.400 0.168 0.844
O32 O 0.004 0.528 0.779
O33 O 0.775 0.996 0.524
O34 O 0.302 0.402 0.942
O35 O 0.926 0.195 0.344
O36 O 0.610 0.052 0.400
O37 O 0.445 0.600 0.769
O38 O 0.576 0.546 0.623
O39 O 0.850 0.582 0.656
O40 O 0.598 0.540 0.900
K1 K 0.840 0.946 0.721
K2 K 0.369 0.590 0.393
K3 K 0.054 0.774 0.893
K4 K 0.024 0.631 0.221
K5 K 0.410 0.804 0.779
K6 K 0.881 0.160 0.107
K7 K 0.226 0.119 0.279
K8 K 0.196 0.976 0.607
```



Record 2
First-principles (PBE-GGA) data for crystalline DyNiP at its relaxed geometry, as listed in the Materials Project.

Calculated values
calculated density: 8.2 g cm⁻³
volume: 203.2 Å³ per cell
raw total energy: -6.485 eV per atom
energy of formation: -1.218 eV per atom
SG: P6_3/mmc (194)

Geometry as CIF:
```
data_DyNiP
_chemical_formula_sum 'Dy4 Ni4 P4'
_symmetry_space_group_name_H-M 'P 1'
_symmetry_Int_Tables_number 1
_cell_length_a 3.902
_cell_length_b 3.902
_cell_length_c 15.414
_cell_angle_alpha 90.00
_cell_angle_beta 90.00
_cell_angle_gamma 120.00
loop_
_symmetry_equiv_pos_as_xyz
'x,y,z'
loop_
_atom_site_label
_atom_site_type_symbol
_atom_site_fract_x
_atom_site_fract_y
_atom_site_fract_z
P1 P 0.667 0.333 0.123
P2 P 0.333 0.667 0.877
P3 P 0.667 0.333 0.377
P4 P 0.333 0.667 0.623
Ni1 Ni 0.667 0.333 0.628
Ni2 Ni 0.667 0.333 0.872
Ni3 Ni 0.333 0.667 0.372
Ni4 Ni 0.333 0.667 0.128
Dy1 Dy 0.000 0.000 0.000
Dy2 Dy 0.000 0.000 0.500
Dy3 Dy 0.000 0.000 0.250
Dy4 Dy 0.000 0.000 0.750
```



Record 3
First-principles (PBE-GGA) data for crystalline Ti3Sb at its relaxed geometry, as listed in the Materials Project.

Calculated values
calculated density: 6.2 g cm⁻³
volume: 142.0 Å³ per cell
raw total energy: -7.334 eV per atom
energy of formation: -0.428 eV per atom
SG: Pm-3n (223)

Geometry as CIF:
```
data_Ti3Sb
_chemical_formula_sum 'Ti6 Sb2'
_symmetry_space_group_name_H-M 'P 1'
_symmetry_Int_Tables_number 1
_cell_length_a 5.217
_cell_length_b 5.217
_cell_length_c 5.217
_cell_angle_alpha 90.00
_cell_angle_beta 90.00
_cell_angle_gamma 90.00
loop_
_symmetry_equiv_pos_as_xyz
'x,y,z'
loop_
_atom_site_label
>>>
-- Result --
6